An Update from the Front-Lines of Contra Costa County’s Legal Incubator Program
Carlos Carbajal is busy. As a Lawyer for Family Justice attorney, his appointment slots are booked solid every week and he has taken on over 50 paying clients (in addition to dozens of pro bono consultations) since joining Contra Costa County’s Legal Incubator program in February.
“The need for pro and low bono services is overwhelming, especially in the minority, Spanish-speaking community,” says Carbajal, “There is incredible need.”
When he joined the CCCBA Lawyer Referral and Information Service through Lawyers for Family Justice, Carlos became one of two Spanish-speaking Family Law attorneys on the referral panel. He has so much work that he is considering hiring a paralegal or intern, and potentially setting up a small firm specifically to assist Spanish-speaking families.
In October 2015, The Contra Costa County Bar Association Bar Fund Gala raised over $40,000 for the Lawyers for Family Justice legal incubator program at the Family Justice Center. Today, the program houses six incubator attorneys serving moderate and low-income clients in Contra Costa County.
-- Attached: records of molecules --
/*
[1]
120
Properties=species:S:1:pos:R:3:mulliken_charge:R:1 method="wB97M-V/def2-TZVPD" homo_ev=-8.14 molar_mass_g_mol=1155.74 smiles="O=C1OC[C@@H](F)O1.O=C1OC[C@@H](F)O1.O=C1OC[C@@H](F)O1.O=C1OC[C@@H](F)O1.O=C1OC[C@@H](F)O1.O=C1OC[C@@H](F)O1.O=C1OC[C@@H](F)O1.O=C1OC[C@@H](F)O1.O=C1OC[C@@H](F)O1.c1cc[nH]c1.c1cc[nH]c1.c1cc[nH]c1" spin_multiplicity=1 energy_ev=-125335.07470 e_lumo_ev=0.15 relative_energy_ev=0.649 largest_force_ev_per_a=5.64
N -1.38912 3.63948 -2.10900 0.14
C -1.83969 4.78758 -1.52759 -0.52
C -0.72827 5.62597 -1.50219 -1.30
C 0.36644 4.99281 -2.05745 -0.17
C -0.07794 3.72148 -2.50890 -1.54
H -1.90550 2.78330 -2.13741 0.23
H -2.83714 4.85835 -1.10753 0.66
H -0.74628 6.66135 -1.24875 0.48
H 1.31535 5.42093 -2.26779 0.92
H 0.36829 3.00554 -3.12423 1.03
N -4.44022 0.03695 -2.32037 0.33
C -5.41566 0.74867 -1.67126 -1.03
C -4.84370 1.19797 -0.51853 -0.95
C -3.48251 0.84207 -0.49354 1.40
C -3.28628 0.12624 -1.65170 -1.11
H -4.51484 -0.53086 -3.14616 0.23
H -6.40663 0.86887 -2.08654 0.42
H -5.24169 1.79403 0.30488 0.38
H -2.83508 1.03275 0.38130 -0.12
H -2.37324 -0.29326 -2.09504 0.48
N 0.04260 -0.44623 -0.94445 1.43
C 0.40179 -1.74709 -0.70698 -1.49
C 0.40946 -1.95156 0.66068 -0.23
C 0.01916 -0.76843 1.28309 0.00
C -0.19486 0.15672 0.27783 -2.31
H 0.01308 0.03443 -1.85530 0.02
H 0.57778 -2.46586 -1.47421 0.72
H 0.72528 -2.90313 1.08348 0.64
H 0.08125 -0.44698 2.32214 0.03
H -0.47119 1.19156 0.29482 1.30
C -2.70806 4.23195 3.25486 -0.39
C -3.25408 3.88742 1.86408 1.00
O -2.07372 3.59230 1.11169 0.45
C -1.00312 4.21576 1.75820 0.09
O 0.02984 4.23400 1.28942 -0.18
O -1.32589 4.59860 2.99572 -0.41
F -3.97424 4.95833 1.29753 -0.44
H -2.82100 3.36420 3.96196 0.06
H -3.19568 5.11170 3.71061 0.45
H -3.93784 3.05597 1.91722 -0.46
C 1.37884 -6.04597 -1.00542 0.04
C 2.26154 -6.41562 0.16626 0.31
O 1.87592 -7.76862 0.40751 -0.38
C 0.61574 -7.98273 -0.08591 0.55
O -0.13811 -8.88476 0.17104 -0.54
O 0.31312 -7.01151 -0.97547 -0.36
F 2.00205 -5.65762 1.29957 -0.24
H 1.88678 -6.16984 -1.95025 0.20
H 0.91940 -5.12838 -0.80149 0.07
H 3.30539 -6.37543 -0.01112 0.33
C -3.34911 -0.56714 2.80300 0.37
C -3.67628 -1.10688 4.15301 0.16
O -4.67365 -0.26288 4.63952 -0.40
C -4.93634 0.76530 3.72196 0.29
O -5.69023 1.59027 3.94274 -0.46
O -4.01730 0.69730 2.72301 0.19
F -2.71704 -1.20384 5.10260 -0.25
H -3.66205 -1.23766 1.98051 0.29
H -2.27806 -0.39558 2.57391 -0.39
H -4.13382 -2.10417 4.14109 0.23
C 4.00626 -2.12619 -1.03211 -0.16
C 4.80282 -1.87678 -2.32145 0.32
O 3.91554 -2.34800 -3.30877 -0.37
C 3.11900 -3.27486 -2.78272 0.61
O 2.31163 -3.85548 -3.43111 -0.50
O 3.32651 -3.34751 -1.44044 -0.19
F 5.89004 -2.66865 -2.39050 -0.32
H 3.30083 -1.30759 -0.93948 -0.01
H 4.58468 -2.21542 -0.11252 0.37
H 5.13788 -0.86430 -2.49726 0.29
C -0.72723 -3.85694 -4.76136 0.26
C -1.04089 -3.07611 -6.00032 0.46
O -2.24475 -2.39878 -5.67987 -0.36
C -2.72006 -2.77944 -4.47170 0.71
O -3.77142 -2.38425 -4.05074 -0.65
O -1.91000 -3.63329 -3.88635 -0.31
F -1.23237 -3.91784 -7.05844 -0.33
*/
-- Back to the page --
“The plan was to do two things at once: help the 80% of our clients who desperately need legal assistance, while nurturing new and transitioning attorneys who were interested in providing affordable services to Contra Costa County residents but did not have the means or know-how to hang out their own shingles,” explains Family Justice Center Executive Director, Susun Kim.
The plan is working. “The Lawyers for Justice Program allows me to assist community members who are unfamiliar with the legal system and/or have limited access to a lawyer due to their financial constraints,” said Lawyers for Family Justice attorney Harpreet Sandhu, “Furthermore, the lawyers in the program, my colleagues, benefit my practice on two levels: they act as a sounding board and they provide support/advice on client management, as well as specific case issues.”
The Lawyers for Justice 2016 cohort is almost half way through its 18-month tenure. In addition to training and mentorship, the Family Justice Center houses the attorneys, paying for important overhead costs such office rent and furniture, telephones, internet, computers, printers, online subscriptions, books on substantive law, and even a receptionist. Lawyers for Family Justice attorneys also benefit from free PLI courses, CEB On-Law, CCCBA Lawyer Referral and Information Service and CCCBA Section Membership.
........
A molecular structure, C30H35O7Tc. Source: OMol25; level of theory: the ωB97M-V functional and the def2-TZVPD basis.

The expectation value of S² is 3.774. Its charge is -1. The highest occupied orbital energy (alpha / beta) is -1.65 / -3.20 eV. Its gap between HOMO and LUMO (alpha / beta) is 3.903 / 5.454 eV. As for the multiplicity: 4.

Last column: Löwdin spin population.
Element x y z (Å)
C: 0.00088 -0.46773 -4.56596  0.000
C: -0.60811 -1.50504 -3.57723  0.000
C: -0.25418 0.95472 -3.97607  0.000
C: -1.42143 0.80854 -2.99098  0.000
H: -0.40259 1.66759 -4.79154  0.000
H: 0.64702 1.25518 -3.42910  0.000
C: -1.27464 -0.65883 -2.49142  0.000
H: 0.21978 -2.11220 -3.17935  0.000
H: -1.35261 -2.13845 -4.07875  0.000
C: -0.29010 -0.50499 -1.33692  0.002
H: -2.19646 -1.08465 -2.07729  0.000
H: -2.37791 1.02843 -3.49310  0.000
C: -1.15510 1.63656 -1.68823  0.000
C: 1.47164 -0.66772 -4.85673  0.000
C: -0.47626 -0.56294 -6.02013  0.000
O: -0.90695 0.41679 -6.59649  0.000
O: 2.23048 -1.43653 -4.29032  0.001
O: 1.83471 0.10457 -5.89578  0.000
O: -0.34018 -1.72637 -6.70218  0.000
C: 0.19201 -2.98618 -6.20749  0.000
H: -0.10680 -3.24712 -5.18085  0.000
H: 1.28448 -2.99425 -6.31266  0.000
H: -0.23490 -3.70750 -6.90694  0.000
C: 3.19570 -0.06569 -6.27628  0.000
H: 3.86482 0.19786 -5.45110  0.000
H: 3.31941 0.61564 -7.11180  0.000
H: 3.40287 -1.09765 -6.58695  0.000
O: -0.14326 0.89625 -1.05032  0.001
H: 0.71568 -0.88838 -1.57634  0.001
H: -0.62741 -1.02181 -0.42433  0.001
C: -2.39472 1.81316 -0.78698  0.000
C: -0.50698 3.00934 -1.92867  0.000
H: -0.96530 3.51897 -2.78143  0.000
H: 0.56934 2.86969 -2.07757  0.000
H: -0.64277 3.62571 -1.03039  0.000
H: -2.12116 2.20495 0.20877  0.000
H: -2.95612 0.87601 -0.67552  0.000
H: -3.03990 2.55889 -1.28198  0.000
Tc: 0.62449 -0.67680 3.21321  1.966
C: -1.58923 -1.70433 3.80716  0.104
C: -2.04842 -1.55064 2.46475  0.121
C: -1.13220 -2.19148 1.59761  0.186
H: -3.00268 -1.11784 2.15869  0.007
C: -0.00909 -2.63255 2.37798  0.022
C: -0.33671 -2.44921 3.77699  0.005
H: 0.11434 -2.99300 4.59354  0.003
H: -2.14487 -1.46729 4.71317  0.006
H: -1.30446 -2.48506 0.55925  0.013
H: 0.77961 -3.27232 1.99382  0.001
C: 2.39735 0.70527 3.06204  0.046
C: 2.73365 -0.42066 3.88117  0.087
C: 2.50596 -1.61028 3.11216  0.054
H: 3.10973 -0.37976 4.89664  0.013
C: 2.09254 -1.20360 1.78716  0.051
C: 1.98117 0.22756 1.76480  0.054
H: 1.61127 0.81185 0.92174  0.005
H: 2.46978 1.75126 3.35190  0.006
H: 2.66742 -2.62709 3.44993  0.005
H: 1.87261 -1.83854 0.93777  0.008
O: -1.54211 2.92253 2.90226  0.014
C: -0.95782 1.98254 3.42160  0.009
O: -0.48734 0.94264 2.74397  0.057
C: -0.75116 1.93197 4.91331  0.004
C: -0.18476 0.81260 5.52480  0.092
C: -0.07900 0.69788 6.90266  0.008
C: -0.49786 1.76008 7.71347  0.004
C: -1.04460 2.91253 7.12491  -0.003
C: -1.17941 2.99562 5.73677  0.003
H: 0.20691 -0.07800 4.95285  0.040
H: 0.33832 -0.22525 7.31491  0.001
H: -0.38389 1.67484 8.79294  0.001
H: -1.36705 3.74285 7.75555  0.000
H: -1.61547 3.86692 5.25490  0.001
........
## Back to the article
“The Lawyers for Family Justice program is a community effort,” says Kim. “We have outstanding community attorneys dedicating their time to mentor, strong support from the Contra Costa County Bar Association, and friendships with incubator programs all across the country, which continue to evolve and improve their practices.”
The program works, in part, because of partnerships with attorney mentors, like James Greenan, Melody Saint-Saens, Claire Johnson, Gloria Park, Brigeda Bank, and Marta Vanegas. Sarah Mraule, who works with mentor, Brigeda Bank said, “The Family Justice Center has been an integral part of the learning experience as a new attorney. The mentorship that they provide, by connecting us with more experienced attorneys in our field of practice has been an invaluable part of the program; and the exposure to cases that we may not have had without participating in the Legal Incubator Program has been enlivening, and will shape the way that we practice, and interact with clients moving forward.”
The attorneys are modest about their work, but the Family Justice Center staff can tell endless stories of the tremendous difference that the attorneys have made in the lives of their clients. “Since they started seeing our clients in February, the Lawyers for Family Justice attorneys have helped over 90 families — all for free, and all on-site,” says Family Justice Center Navigator Sandra Trevino, “They meet directly with the clients right here in our office, which is so essential to helping families in crisis who have already travelled to too many agencies looking for help.”
Oravanh Thammasen is a Navigator at the West Contra Costa Family Justice Center. She regularly works with the Lawyers for Family Justice, including attorney Yuriy Rubanov. “A survivor of domestic violence came into our Center to seek assistance with reporting an incident to the police and to file a restraining order. During the navigation assessment, the client mentioned that her apartment had habitability issues and she had made numerous complaints. At our Center, she was able to meet with Rubanov for a housing law consultation. Rubanov assisted the client in writing a demand letter to the property. With his assistance on the demand letter, the client is on the wait list to move into the next available unit.”
“The Lawyers for Family Justice program definitely offers help with services that people would otherwise not have access to,” comments Rubanov, “People find the services helpful and valuable. As for me, I get the satisfaction of being able to provide that.”
At the Central Contra Costa Family Justice Center, Navigator Olivia Ortiz’s client, Laura* was being bullied by her son’s father who threatened to disappear with their son. When her son told his grandmother that his father was physically abusing him, Laura came to the Family Justice Center for help. Ortiz immediately sought the assistance of Lawyers for Family Justice attorney Layli Caborn. “The attorney reviewed the client’s paperwork and found that client was permitted to communicate with her son and had vacation rights to see him,” reports Ortiz. “The attorney was able to help client file paperwork at the Martinez court house and to have the father come to Contra Costa County [from Los Angeles] for court. Layli helped my client get awarded temporary physical custody of her son. My client was very emotional and grateful after the court hearing. She never thought it was possible.”
“In my 15 years of experience in the legal field as a victim’s advocate, law clerk, legal office manager, Deputy District Attorney, litigation attorney, juvenile dependency attorney, and deputy public defender, I have tried my best to help individuals in need to the best of my ability,” says Layli Caborn. “The Lawyers for Family Justice Program has shed light on what is truly important — helping those in need when no one else will listen or help them. I have been with the Family Justice Program for a short period of time. In that period, I have represented clients in many levels of involvement in the criminal and family justice system. I am fortunate to have the opportunity to work a long side all of the brilliant, talented, and caring individuals at the Lawyers for Family Justice Program.”
Legal incubator attorneys are available for hire. Looking for someone to do a special appearance? Need backup on a case? Need to contract out some work? Contact the Lawyers for Family Justice directly or visit them at cclawyers.org.